Material.
=====
Diffraction record for La3NdCr4O12. The powder XRD pattern is simulated, not measured: it uses a PBE+U-relaxed structure and λ = 1.5418 Å (Cu Kα).
No peak broadening, texture or thermal motion is included.

Crystal structure
Lattice parameters (Å, degrees): 5.5738 7.8729 5.5751 90.00 90.06 90.00
Space group Pm (No. 6)
Unique sites:
La1 0.0000 0.0000 0.0000 (multiplicity 1)
La2 0.0156 0.5000 0.0589 (multiplicity 1)
La3 0.5152 0.0000 0.5013 (multiplicity 1)
Nd1 0.4976 0.5000 0.5662 (multiplicity 1)
Cr1 0.0080 0.2510 0.5292 (multiplicity 2)
Cr2 0.5083 0.2506 0.0303 (multiplicity 2)
O1 0.0879 0.0000 0.5436 (multiplicity 1)
O2 0.2288 0.2960 0.8094 (multiplicity 2)
O3 0.2929 0.2964 0.3143 (multiplicity 2)
O4 0.4276 0.0000 0.0438 (multiplicity 1)
O5 0.5885 0.5000 0.0096 (multiplicity 1)
O6 0.7257 0.2080 0.7466 (multiplicity 2)
O7 0.7917 0.2069 0.2459 (multiplicity 2)
O8 0.9205 0.5000 0.5151 (multiplicity 1)

Most intense lines, 10 to 90 degrees two-theta, in order of rising 2θ:
hkl 0 2 0, 3.940 Å, 22.57 deg, rel. 18.8; hkl 1 2 1, 2.786 Å, 32.13 deg, rel. 100.0; hkl 2 2 0, 2.275 Å, 39.62 deg, rel. 17.2; hkl 0 4 0, 1.970 Å, 46.08 deg, rel. 28.4; hkl 3 0 1, 1.762 Å, 51.90 deg, rel. 7.9; hkl 3 2 1, 1.608 Å, 57.28 deg, rel. 39.8; hkl 4 0 0, 1.393 Å, 67.21 deg, rel. 14.3; hkl 4 0 2, 1.247 Å, 76.40 deg, rel. 6.0; hkl 1 6 1, 1.245 Å, 76.50 deg, rel. 7.7; hkl 4 4 0, 1.137 Å, 85.35 deg, rel. 4.2



Diffraction record for LaCrNiO6. The powder XRD pattern is simulated, not measured: it uses a PBE+U-relaxed structure and λ = 1.5418 Å (Cu Kα).
No peak broadening, texture or thermal motion is included.

Crystal structure
Lattice parameters (Å, degrees): 5.1441 5.3310 5.5158 117.26 90.95 118.58
Space group P1 (No. 1)
Unique sites:
La1 0.0000 0.0000 0.0000 (multiplicity 1)
Cr1 0.7562 0.5348 0.2875 (multiplicity 1)
Ni1 0.2396 0.4852 0.7364 (multiplicity 1)
O1 0.0005 0.4524 0.4082 (multiplicity 1)
O2 0.4893 0.9735 0.9478 (multiplicity 1)
O3 0.4914 0.4816 0.0177 (multiplicity 1)
O4 0.4971 0.4306 0.4656 (multiplicity 1)
O5 0.9635 0.5185 0.9713 (multiplicity 1)
O6 0.9663 0.9629 0.4986 (multiplicity 1)

Most intense lines, 10 to 90 degrees two-theta, in order of rising 2θ:
hkl 0 0 1, 4.674 Å, 18.99 deg, rel. 41.0; hkl 0 1 -1, 4.383 Å, 20.26 deg, rel. 46.2; hkl 1 -1 0, 4.317 Å, 20.58 deg, rel. 100.0; hkl -1 1 1, 2.812 Å, 31.82 deg, rel. 37.1; hkl 1 0 1, 2.777 Å, 32.24 deg, rel. 37.8; hkl 0 1 -2, 2.751 Å, 32.55 deg, rel. 38.5; hkl 1 1 -1, 2.673 Å, 33.53 deg, rel. 34.2; hkl 1 -2 1, 2.660 Å, 33.69 deg, rel. 31.9; hkl 2 -1 0, 2.572 Å, 34.89 deg, rel. 31.8; hkl 0 2 0, 1.984 Å, 45.73 deg, rel. 30.9



Diffraction record for Sr4La4CrNi3O15. The powder XRD pattern is simulated, not measured: it uses a PBE+U-relaxed structure and λ = 1.5418 Å (Cu Kα).
No peak broadening, texture or thermal motion is included.

Crystal structure
Lattice parameters (Å, degrees): 3.8446 7.7044 12.7418 89.49 89.97 89.84
Space group P-1 (No. 2)
Unique sites:
Sr1 0.9998 0.2456 0.1399 (multiplicity 2)
Sr2 0.4987 0.0038 0.3492 (multiplicity 2)
La1 0.9998 0.2453 0.8626 (multiplicity 2)
La2 0.4943 0.4959 0.3576 (multiplicity 2)
Cr1 0.5000 0.5000 0.0000 (multiplicity 1)
Ni1 0.0010 0.2488 0.5020 (multiplicity 2)
Ni2 0.5000 0.0000 0.0000 (multiplicity 1)
O1 0.0000 0.0000 0.0000 (multiplicity 1)
O2 0.0000 0.5000 0.0000 (multiplicity 1)
O3 0.0000 0.5000 0.5000 (multiplicity 1)
O4 0.0041 0.7404 0.3233 (multiplicity 2)
O5 0.0045 0.2558 0.3332 (multiplicity 2)
O6 0.4983 0.5064 0.1694 (multiplicity 2)
O7 0.4985 0.7878 0.4962 (multiplicity 2)
O8 0.5000 0.0152 0.8393 (multiplicity 2)
O9 0.5003 0.2540 0.9963 (multiplicity 2)

Most intense lines, 10 to 90 degrees two-theta, in order of rising 2θ:
=====
What to do.
Search the lines further above for the word "PBE" and write out each line that has it.
Reply.
Diffraction record for La3NdCr4O12. The powder XRD pattern is simulated, not measured: it uses a PBE+U-relaxed structure and λ = 1.5418 Å (Cu Kα).
Diffraction record for LaCrNiO6. The powder XRD pattern is simulated, not measured: it uses a PBE+U-relaxed structure and λ = 1.5418 Å (Cu Kα).
Diffraction record for Sr4La4CrNi3O15. The powder XRD pattern is simulated, not measured: it uses a PBE+U-relaxed structure and λ = 1.5418 Å (Cu Kα).